New art
Jo mentioned back in this post a few weeks ago that the lovely folks over at Arte Limited offered us some prints that they carry in their online shop. I was super excited because I love art, was craving some new pieces for my home, and the artists on their roster are REALLY talented. I picked out 3 I thought would work in my home, and I adore all 3. I went with inexpensive Ikea frames because why not. One ended up in my kitchen and it makes me smile every time I pass by it. It is a giclée by Mikel Nilsson called Couch.
The other 2 happened to feature portraits of women, so the only place that seemed to make sense for them was on my living room "chick wall".
The print to the right of the TV is Tender is the Night, a giclée by Lina Ekstrand.
I must add a couple of things at this point. First, my husband has some cord wrangling on his TODO list. Second, see that long black rectangle under the TV? That was one of the presents I bought my husband for Christmas. It is a sound bar, and pretty amazing I must admit - a present I am enjoying immensely as well. :-) Anyway, I had a small vintage Asian cabinet as the TV stand (as seen here) but that bar was too long so my husband whipped this shelving unit up one day over the holidays. I really like it! It's alot less bulky than the last one and doesn't stick out into the room as much - a bonus since this wall is only a small space between the front door and the stairs to the second floor (beyond annoying).
The print to the right is a giclée by Florian Meacci titled Beautiful death.
Reader Comments (13)
Love it! I love an art wall that you can jsut keep adding to.....
WOWWW what a GREAT gallery wall:) I hope you had a lovely Christmas holiday and New years.
(Unrelated to this article: molecular data)
........
# 1
Entry from the OMol25 dataset: 7 unconnected molecules or ions with the total composition C35H70Cl2F3N3O14PS2 in a non-equilibrium geometry (ωB97M-V/def2-TZVPD).

Cartesian coordinates (Å):
Cl: -5.4241 0.6414 0.6023
Cl: -4.4070 3.5682 -3.4662
S: -2.4160 -0.8209 1.4497
S: -3.8420 2.5507 -0.1214
P: -3.3215 1.7104 -3.7709
F: -4.3060 -0.4185 3.4220
F: -3.1125 1.5695 2.8578
F: -2.0507 -0.1397 4.1263
O: -8.4343 -1.4375 -4.2533
O: -1.0568 -1.4884 1.9233
O: 0.0884 -0.8372 -1.4783
O: -2.8657 -0.7848 -3.5626
O: 8.1939 -2.8086 1.3891
O: 3.4752 4.2491 -5.1374
O: -3.2269 -2.1512 8.8146
O: 5.3383 1.8742 1.9555
O: -2.2573 1.8742 -5.1731
O: -1.1980 -4.1589 0.4979
O: -3.3709 -2.0619 1.3620
O: -2.9740 -2.1855 -5.1063
O: 0.8851 1.0871 3.6712
O: 0.7055 -3.7447 -0.9021
N: -2.3444 1.3221 -2.2748
N: -2.2115 -1.3342 -4.6298
N: -0.9773 1.0226 0.4210
C: -3.3250 -3.0202 6.5753
C: 2.5710 1.5167 -4.1337
C: -0.6971 -3.4613 -0.5609
C: 6.5430 1.4372 2.5794
C: 4.0334 5.4353 -5.6967
C: 2.9191 2.2096 -1.4367
C: 2.5472 -0.6496 3.6526
C: 9.3985 -3.2456 2.0131
C: -8.6507 -3.7979 -4.6542
C: -1.8695 -0.0813 -2.6859
C: -3.0116 -1.8142 7.4465
C: 3.9366 5.3714 -7.2126
C: 1.3027 2.4260 -1.3116
C: -5.6296 0.0718 -2.0279
C: 6.3036 1.2639 4.0709
C: 0.9247 1.7479 -3.9611
C: 1.8504 0.4767 5.7866
C: 9.8560 -4.5453 1.3705
C: -2.0425 0.0870 -0.0953
C: -9.6906 -2.7077 -2.6447
C: 9.1592 -3.4189 3.5045
C: -1.3948 2.4834 -2.3088
C: -3.1408 0.9865 -0.9915
C: -4.4478 0.0870 -0.9329
C: -8.5130 -2.7051 -3.6063
C: -2.9725 0.1187 2.9560
C: 3.5918 1.7645 -2.8617
C: 3.2986 6.6465 -5.1450
C: 2.0897 0.6500 4.2952
C: 0.2035 2.1850 -2.5543
C: -1.3802 -0.8692 -1.2988
C: -1.7185 -2.4556 -1.3706
C: 7.0004 0.1375 1.9369
C: -3.8818 -0.6232 7.0780
C: -6.6512 1.3476 -2.0658
H: -9.7691 -3.6644 -2.1192
H: 0.3957 -1.4801 -2.1812
H: -8.6979 -4.7874 -4.1890
H: -2.8041 -2.7742 -1.0732
H: 4.3722 6.2631 -7.6739
H: 2.7037 -0.5130 2.5771
H: 4.6626 1.1903 2.0958
H: -3.7275 -0.3291 6.0353
H: -4.1625 -2.3908 8.9209
H: 10.0125 -4.4086 0.2951
H: 0.2094 0.4031 3.8115
H: -4.1227 -1.0589 -0.8560
H: 10.7897 -4.8998 1.8181
H: 3.4809 -1.0041 4.1001
H: 0.2953 1.5800 -4.9267
H: -3.6539 0.2335 7.7213
H: -0.9223 -0.2017 -3.3514
H: -4.3668 -3.3356 6.7027
H: 1.7870 -1.4309 3.7643
H: -1.3642 3.1305 -1.3017
H: 7.5182 -3.4925 1.5295
H: 1.2048 -3.6993 -0.0116
H: -10.6309 -2.5224 -3.1762
H: -3.1541 -2.7981 5.5174
H: 2.7631 0.1559 6.2982
H: 3.5582 2.4326 -0.4546
H: 10.0719 -3.7397 4.0162
H: 5.9630 2.2040 4.5177
H: 7.1569 0.2742 0.8614
H: 7.2974 2.2144 2.4156
H: -1.6477 3.3175 -3.1267
H: 0.8677 2.7816 -0.2576
H: 2.8929 5.2848 -7.5354
H: -7.0582 1.4721 -3.1602
H: -5.3482 -0.1855 -3.1342
H: 7.9341 -0.2170 2.3844
H: -2.6237 1.3208 -5.9481
H: 5.0862 5.4751 -5.3964
H: 4.4594 4.4880 -7.5946
H: 3.3663 6.6728 -4.0520
H: 1.5098 1.4168 6.2334
H: 3.0190 1.2224 -5.1752
H: 3.7151 7.5765 -5.5442
H: 1.0654 -0.2646 5.9740
H: 8.3742 -4.1603 3.6919
H: 2.2324 6.6053 -5.3944
H: -4.9433 -0.8535 7.2231
H: 10.1530 -2.4684 1.8493
H: 9.0958 -5.3266 1.4822
........
Today I have apost about curtains :)
Have an AMAZING 2014 guys
LOVE Maria at inredningsvis - Swedish decor,food, and fashion
Love these by the TV and I spy a Sara Moon print! Loves it! art...what a great way to begin 2014. lucky you!
Thanks everyone!
I love your good taste, congratulations!
That couch image is great. Really quirky! I've not heard the name Mikel Nilsson before though - one for me to look up!
Would you be willing to share what your fridge is? I'm looking for a nice flat front one, and yours appears to be pretty flat.
........
(1)
DFT (wB97M-V/def2-TZVPD) results for one molecule with the formula C2H8N4O in a non-equilibrium geometry.

The geometry in ORCA input format:
```
! wB97M-V def2-TZVPD RIJCOSX def2/J DEFGRID3
* xyz 0 1
C 0.3962 1.2259 -0.5062
N -1.6075 -1.0113 0.7284
C 0.4178 -0.0079 0.3722
N -2.6903 -0.2762 0.2748
N 2.6641 -0.4356 0.1219
O -0.6223 -0.1091 1.2795
N 1.4652 -0.6885 0.6793
H -0.9143 -1.4276 -0.0424
H -3.5584 -0.7115 0.5564
H -2.6847 -0.0223 -0.7134
H 3.2652 -1.2460 0.1415
H 2.7063 0.0998 -0.7408
H 0.7308 0.9894 -1.5184
H 1.0475 1.9950 -0.0919
H -0.6157 1.6259 -0.5410
*
```

Properties
SMILES string: C/C(=N\N)ONN
Frontier orbital gap: 9.447 eV

Charges per atom according to Löwdin partitioning, unit e: -0.021, -0.119, -0.463, -0.010, 0.014, -0.118, 0.021, 0.152, 0.075, 0.077, 0.087, 0.080, 0.071, 0.085, 0.070

***

(2)
DFT (wB97M-V/def2-TZVPD) results for C20H37CeClN3OP as an isolated structure in a non-equilibrium geometry.

The geometry in ORCA input format:
```
! wB97M-V def2-TZVPD RIJCOSX def2/J DEFGRID3
* xyz 2 1
C -4.2232 -2.3920 -3.5164
C -5.2307 -1.4663 -4.1977
C -3.3460 -3.0599 -4.5893
C -4.9385 -3.5038 -2.7306
Cl -3.2504 -1.4133 -2.4147
H -4.0002 -3.6232 -5.2732
H -2.6376 -3.7746 -4.1503
H -2.8058 -2.3037 -5.1717
H -5.8982 -2.0829 -4.7984
H -4.7292 -0.7615 -4.8716
H -5.8406 -0.8946 -3.4896
H -5.6258 -4.0031 -3.4295
H -5.5159 -3.1103 -1.8785
H -4.2275 -4.2596 -2.3598
C 1.4136 1.6104 -1.6071
C 1.8024 0.3610 -2.2107
C 0.6936 -0.0941 -3.0035
H 2.7502 -0.1546 -2.0416
C -0.3765 0.8351 -2.8690
C 0.0612 1.8840 -2.0062
H -0.5020 2.7861 -1.7448
H 2.0459 2.2456 -0.9904
H 0.6655 -1.0229 -3.5860
H -1.3402 0.7933 -3.3806
C 0.6132 -2.4695 1.0093
C 1.6789 -2.3707 0.0483
C 1.1045 -2.6183 -1.2448
H 2.7293 -2.1882 0.2605
C -0.2987 -2.8824 -1.0927
C -0.6057 -2.7892 0.3094
H -1.5934 -2.9767 0.7612
H 0.7258 -2.3345 2.0876
H 1.6559 -2.6010 -2.1816
H -1.0074 -3.1448 -1.8983
Ce 0.1575 -0.3684 -0.4396
C -0.2024 3.5616 1.6424
N 1.1802 3.1605 1.8997
C 2.1859 4.2182 1.8586
P 1.4514 1.6179 2.3290
O 0.6033 0.7925 1.3488
N 3.0140 1.1569 2.2785
C 3.2636 -0.2789 2.5040
C 4.0463 1.8633 1.5348
N 0.9392 1.1120 3.8193
C 1.7741 1.2723 5.0171
C -0.4700 0.8095 4.0825
H -0.5284 3.2765 0.6351
H -0.2786 4.6451 1.7523
H -0.8791 3.0981 2.3709
H 2.8885 4.1597 2.7160
H 2.7700 4.1847 0.9153
H 1.6635 5.1865 1.8795
H 3.6233 -0.7624 1.5836
H 4.0002 -0.3908 3.3123
H 2.3347 -0.7845 2.8035
H 3.7240 2.1553 0.5205
H 4.3580 2.7646 2.0779
H 4.9193 1.2073 1.4440
H 1.3345 2.0271 5.7008
H 1.8944 0.3008 5.5418
H 2.7705 1.6111 4.7007
H -0.9448 1.6140 4.6788
H -0.9791 0.7132 3.1042
H -0.5605 -0.1433 4.6402
*
```

Properties
Frontier orbital gap: 6.971 eV
........
Great art choices!
My husband made a stand like that once too! :)
And you can always stain it if you want it more in a teak-ish tone.
But I don't mind the raw wood.
Thanks for the kind words!
### Unrelated to this entry: records of molecules
=====
# 1
Molecular formula: C19H16IN3O3PtS
Method: DFT, ωB97M-V with the def2-TZVPD basis set

Last column: Löwdin charge in e.
CARTESIAN COORDINATES (ANGSTROEM)
Pt  0.167  0.189  0.149  0.64
C  -0.666  0.479  -4.408  -0.01
C  0.731  0.101  -4.030  -0.25
N  1.616  -0.127  -4.959  0.12
C  2.875  -0.474  -4.595  -0.10
C  3.282  -0.623  -3.304  -0.16
C  4.713  -0.972  -3.021  -0.21
O  4.782  -2.269  -2.418  -0.06
C  2.339  -0.393  -2.254  -0.07
C  2.778  -0.578  -0.901  -0.05
N  2.156  -0.217  0.184  -0.12
C  2.871  -0.367  1.426  -0.29
C  4.268  -0.427  1.474  -0.02
C  4.936  -0.573  2.675  -0.07
C  4.236  -0.634  3.870  -0.08
C  2.859  -0.519  3.853  -0.15
C  2.193  -0.373  2.645  -0.60
I  0.141  -0.109  2.636  1.21
C  1.041  -0.014  -2.626  -0.27
O  0.048  0.214  -1.829  -0.24
H  -0.738  0.556  -5.490  0.08
H  -0.950  1.424  -3.943  0.09
H  -1.377  -0.265  -4.041  0.08
H  3.575  -0.626  -5.408  0.11
H  5.162  -0.230  -2.348  0.12
H  5.274  -0.946  -3.957  0.12
H  5.672  -2.615  -2.533  0.09
H  3.741  -1.057  -0.799  0.10
H  4.849  -0.328  0.569  0.11
H  6.017  -0.619  2.675  0.11
H  4.758  -0.740  4.811  0.11
H  2.299  -0.528  4.779  0.10
O  -1.870  -1.366  0.031  -0.25
N  -2.675  -0.870  -0.854  -0.26
C  -3.321  -1.714  -1.695  -0.03
C  -4.204  -1.256  -2.636  -0.07
C  -4.426  0.118  -2.735  -0.09
C  -3.736  0.964  -1.902  -0.10
C  -2.831  0.484  -0.947  -0.67
S  -1.900  1.499  0.078  0.57
H  -3.077  -2.750  -1.524  0.13
H  -4.708  -1.966  -3.276  0.10
H  -5.119  0.515  -3.464  0.10
H  -3.860  2.036  -1.964  0.10

Output
Frontier orbital gap ... 6.71 eV
Maximum force ... 0.0281 hartree/bohr
Energy relative to the best compared isomer or geometry (same formula, charge and spin) ... 43.72 kJ/mol
E_HOMO ... -0.27071 hartree
E_tot ... -52756.3312 eV



# 2
Molecular formula: C19H16KN3O
Method: DFT, ωB97M-V with the def2-TZVPD basis set

Last column: Löwdin charge in e.
CARTESIAN COORDINATES (ANGSTROEM)
K  0.060  -0.790  2.608  0.91
N  1.582  3.279  -7.129  0.15
C  1.451  2.844  -6.073  -0.19
C  1.277  2.296  -4.763  -0.24
C  1.973  1.148  -4.386  -0.02
C  1.789  0.615  -3.123  -0.01
C  0.906  1.209  -2.228  -0.22
C  0.222  2.362  -2.605  -0.01
C  0.405  2.908  -3.861  -0.01
C  0.675  0.624  -0.873  -0.05
C  1.644  0.944  0.080  -0.28
C  2.752  1.824  -0.141  -0.03
C  3.462  1.863  1.031  -0.09
C  2.771  1.003  1.923  -0.19
N  1.698  0.457  1.375  -0.09
C  -0.492  -0.152  -0.771  -0.27
C  -1.327  -0.492  -1.882  -0.04
C  -2.366  -1.237  -1.383  -0.09
C  -2.139  -1.312  0.011  -0.20
N  -1.035  -0.685  0.391  -0.06
H  2.654  0.686  -5.087  0.12
H  2.334  -0.270  -2.822  0.13
H  -0.454  2.830  -1.901  0.13
H  -0.125  3.803  -4.158  0.12
H  2.967  2.356  -1.055  0.11
H  4.359  2.423  1.246  0.09
H  3.044  0.770  2.947  0.10
H  -1.155  -0.222  -2.913  0.11
H  -3.191  -1.678  -1.921  0.09
H  -2.786  -1.798  0.731  0.08
C  -2.626  -2.506  3.437  -0.02
C  -1.767  -2.472  4.679  -0.48
C  -2.273  -3.182  5.909  0.00
O  -0.702  -1.888  4.680  -0.07
=====
Jes - when I boughtt he fridge 6 years ago I was looking for something sleek and counter-deep. This was it - and I love it. It's by Fisher & Paykel. I highly recommend this brand. My stove is F&P too.
I love your art work too - may I ask are your floors tiled and if so have they been painted? We are stuck with original 1988 floor tiles for the time being and I have heard you can paint floor tiles but was wondering about durability and cleaning etc
Thanks! My flooring is ugly cheap oak hardwood that I painted. I've never painted tile before.
Such a beautiful and lovable interior furnishing and home interior designing!